_Job_
Give back the whole of the rows further down with every line break kept, please.
_File_
********
(1)
Density functional theory data (r2SCAN) for crystalline Ca2ZrSi4O12 at its relaxed geometry.

Computed properties:
DFT total energy ... -412.10 eV for the cell shown
Symmetry ... P2_1/m, No. 11

POSCAR file:
```
Ca2ZrSi4O12
1.0
-1.2671 -6.6799 -11.9023
4.1164 -3.1176 1.3114
-2.5494 -5.9627 3.6179
Ca Zr Si O
4 2 8 24
Direct
0.0000 0.0000 0.5000
0.2500 0.1654 0.1857
0.7500 0.8346 0.8143
0.5000 0.0000 0.5000
0.5000 0.0000 0.0000
0.0000 0.0000 0.0000
0.6398 0.4323 0.6156
0.8623 0.4334 0.1814
0.8602 0.4323 0.6156
0.1377 0.5666 0.8186
0.1398 0.5677 0.3844
0.6377 0.4334 0.1814
0.3623 0.5666 0.8186
0.3602 0.5677 0.3844
0.0670 0.7926 0.8428
0.8672 0.7265 0.6209
0.8811 0.7334 0.0452
0.1246 0.5961 0.5948
0.9355 0.2139 0.7431
0.7500 0.3072 0.6887
0.8754 0.4039 0.4052
0.2500 0.6928 0.3113
0.3672 0.2735 0.3791
0.7500 0.3697 0.1353
0.2500 0.6303 0.8647
0.6246 0.4039 0.4052
0.1189 0.2666 0.9548
0.4330 0.7926 0.8428
0.0645 0.7861 0.2569
0.9330 0.2074 0.1572
0.5645 0.2139 0.7431
0.6189 0.7334 0.0452
0.6328 0.7265 0.6209
0.3754 0.5961 0.5948
0.1328 0.2735 0.3791
0.4355 0.7861 0.2569
0.3811 0.2666 0.9548
0.5670 0.2074 0.1572
```

(2)
Density functional theory data (r2SCAN) for crystalline Lu4Zr3O12 at its relaxed geometry.

Computed properties:
DFT total energy ... -734.42 eV for the cell shown
Symmetry ... P-1, No. 2

POSCAR file:
```
Lu4Zr3O12
1.0
-1.6262 4.7359 3.7678
-4.3314 -4.2383 1.7411
9.8659 -4.4182 6.4059
Lu Zr O
8 6 24
Direct
0.3915 0.8632 0.0963
0.3124 0.6078 0.8185
0.3019 0.6098 0.3190
0.8594 0.6887 0.4466
0.6876 0.3922 0.1815
0.1406 0.3113 0.5534
0.6085 0.1368 0.9037
0.6981 0.3902 0.6810
0.9933 0.9944 0.2486
0.3914 0.8564 0.5940
0.0067 0.0056 0.7514
0.8557 0.6805 0.9456
0.1443 0.3195 0.0544
0.6086 0.1436 0.4060
0.3219 0.9410 0.7871
0.0440 0.9023 0.0885
0.3188 0.9554 0.2960
0.0704 0.9177 0.5916
0.5854 0.8201 0.9625
0.9199 0.6882 0.7879
0.1752 0.5746 0.9641
0.5712 0.8279 0.4625
0.9219 0.6796 0.2789
0.4122 0.5706 0.1588
0.1836 0.5874 0.4670
0.5878 0.4294 0.8412
0.4273 0.5810 0.6588
0.8248 0.4254 0.0359
0.5727 0.4190 0.3412
0.0801 0.3118 0.2121
0.4146 0.1799 0.0375
0.8164 0.4126 0.5330
0.0781 0.3204 0.7211
0.4288 0.1721 0.5375
0.9560 0.0977 0.9115
0.6781 0.0590 0.2129
0.9296 0.0823 0.4084
0.6812 0.0446 0.7040
```

(3)
Density functional theory data (r2SCAN) for crystalline Be3Rh at its relaxed geometry.

Computed properties:
DFT total energy ... -38.97 eV for the cell shown
Symmetry ... I4/mmm, No. 139

POSCAR file:
```
Be3Rh
1.0
-1.6164 1.6164 3.6374
1.6164 -1.6164 3.6374
1.6164 1.6164 -3.6374
Be Rh
3 1
Direct
0.7500 0.2500 0.5000
0.2500 0.7500 0.5000
0.5000 0.5000 0.0000
0.0000 0.0000 0.0000
```

(4)
Density functional theory data (r2SCAN) for crystalline NiS2 at its relaxed geometry.

Computed properties:
DFT total energy ... -117.12 eV for the cell shown
Symmetry ... Pbca, No. 61

POSCAR file:
```
NiS2
1.0
-0.0001 5.6877 0.0001
0.0002 0.0000 5.6771
5.6983 0.0002 0.0003
Ni S
4 8
Direct
0.9953 0.9962 0.0023
0.4956 0.4958 0.0027
0.9958 0.4963 0.5025
0.4954 0.9961 0.5025
0.6004 0.1000 0.8963
0.8907 0.6002 0.1087
0.6008 0.6002 0.6088
0.8905 0.1004 0.3962
0.3904 0.8917 0.1087
0.1007 0.3921 0.8963
0.3908 0.3919 0.3965
0.1005 0.8922 0.6085
```

(5)
Density functional theory data (r2SCAN) for crystalline V3P2O8 at its relaxed geometry.

Computed properties:
DFT total energy ... -279.03 eV for the cell shown
Symmetry ... P1, No. 1

POSCAR file:
```
V3P2O8
1.0
0.0018 4.8076 0.0031
-0.2211 0.0067 10.3503
6.0115 0.0024 -0.0267
V P O
6 4 16
Direct
0.9881 0.2728 0.2467
0.0125 0.7268 0.7527
0.4884 0.2270 0.7547
0.4989 0.4980 0.5015
0.0015 0.0026 0.5026
0.5105 0.7734 0.2424
0.0751 0.5944 0.2492
0.4244 0.0950 0.2485
0.5766 0.9053 0.7489
0.9237 0.4049 0.7528
0.1896 0.6694 0.0533
0.3077 0.1703 0.0539
0.6927 0.8292 0.9429
0.8065 0.3300 0.9478
0.3117 0.9565 0.2559
0.1857 0.4554 0.2565
0.8129 0.5438 0.7444
0.6862 0.0444 0.7452
0.7595 0.6006 0.2710
0.7398 0.1002 0.2676
********
_Reply_
(1)
Density functional theory data (r2SCAN) for crystalline Ca2ZrSi4O12 at its relaxed geometry.

Computed properties:
DFT total energy ... -412.10 eV for the cell shown
Symmetry ... P2_1/m, No. 11

POSCAR file:
```
Ca2ZrSi4O12
1.0
-1.2671 -6.6799 -11.9023
4.1164 -3.1176 1.3114
-2.5494 -5.9627 3.6179
Ca Zr Si O
4 2 8 24
Direct
0.0000 0.0000 0.5000
0.2500 0.1654 0.1857
0.7500 0.8346 0.8143
0.5000 0.0000 0.5000
0.5000 0.0000 0.0000
0.0000 0.0000 0.0000
0.6398 0.4323 0.6156
0.8623 0.4334 0.1814
0.8602 0.4323 0.6156
0.1377 0.5666 0.8186
0.1398 0.5677 0.3844
0.6377 0.4334 0.1814
0.3623 0.5666 0.8186
0.3602 0.5677 0.3844
0.0670 0.7926 0.8428
0.8672 0.7265 0.6209
0.8811 0.7334 0.0452
0.1246 0.5961 0.5948
0.9355 0.2139 0.7431
0.7500 0.3072 0.6887
0.8754 0.4039 0.4052
0.2500 0.6928 0.3113
0.3672 0.2735 0.3791
0.7500 0.3697 0.1353
0.2500 0.6303 0.8647
0.6246 0.4039 0.4052
0.1189 0.2666 0.9548
0.4330 0.7926 0.8428
0.0645 0.7861 0.2569
0.9330 0.2074 0.1572
0.5645 0.2139 0.7431
0.6189 0.7334 0.0452
0.6328 0.7265 0.6209
0.3754 0.5961 0.5948
0.1328 0.2735 0.3791
0.4355 0.7861 0.2569
0.3811 0.2666 0.9548
0.5670 0.2074 0.1572
```

(2)
Density functional theory data (r2SCAN) for crystalline Lu4Zr3O12 at its relaxed geometry.

Computed properties:
DFT total energy ... -734.42 eV for the cell shown
Symmetry ... P-1, No. 2

POSCAR file:
```
Lu4Zr3O12
1.0
-1.6262 4.7359 3.7678
-4.3314 -4.2383 1.7411
9.8659 -4.4182 6.4059
Lu Zr O
8 6 24
Direct
0.3915 0.8632 0.0963
0.3124 0.6078 0.8185
0.3019 0.6098 0.3190
0.8594 0.6887 0.4466
0.6876 0.3922 0.1815
0.1406 0.3113 0.5534
0.6085 0.1368 0.9037
0.6981 0.3902 0.6810
0.9933 0.9944 0.2486
0.3914 0.8564 0.5940
0.0067 0.0056 0.7514
0.8557 0.6805 0.9456
0.1443 0.3195 0.0544
0.6086 0.1436 0.4060
0.3219 0.9410 0.7871
0.0440 0.9023 0.0885
0.3188 0.9554 0.2960
0.0704 0.9177 0.5916
0.5854 0.8201 0.9625
0.9199 0.6882 0.7879
0.1752 0.5746 0.9641
0.5712 0.8279 0.4625
0.9219 0.6796 0.2789
0.4122 0.5706 0.1588
0.1836 0.5874 0.4670
0.5878 0.4294 0.8412
0.4273 0.5810 0.6588
0.8248 0.4254 0.0359
0.5727 0.4190 0.3412
0.0801 0.3118 0.2121
0.4146 0.1799 0.0375
0.8164 0.4126 0.5330
0.0781 0.3204 0.7211
0.4288 0.1721 0.5375
0.9560 0.0977 0.9115
0.6781 0.0590 0.2129
0.9296 0.0823 0.4084
0.6812 0.0446 0.7040
```

(3)
Density functional theory data (r2SCAN) for crystalline Be3Rh at its relaxed geometry.

Computed properties:
DFT total energy ... -38.97 eV for the cell shown
Symmetry ... I4/mmm, No. 139

POSCAR file:
```
Be3Rh
1.0
-1.6164 1.6164 3.6374
1.6164 -1.6164 3.6374
1.6164 1.6164 -3.6374
Be Rh
3 1
Direct
0.7500 0.2500 0.5000
0.2500 0.7500 0.5000
0.5000 0.5000 0.0000
0.0000 0.0000 0.0000
```

(4)
Density functional theory data (r2SCAN) for crystalline NiS2 at its relaxed geometry.

Computed properties:
DFT total energy ... -117.12 eV for the cell shown
Symmetry ... Pbca, No. 61

POSCAR file:
```
NiS2
1.0
-0.0001 5.6877 0.0001
0.0002 0.0000 5.6771
5.6983 0.0002 0.0003
Ni S
4 8
Direct
0.9953 0.9962 0.0023
0.4956 0.4958 0.0027
0.9958 0.4963 0.5025
0.4954 0.9961 0.5025
0.6004 0.1000 0.8963
0.8907 0.6002 0.1087
0.6008 0.6002 0.6088
0.8905 0.1004 0.3962
0.3904 0.8917 0.1087
0.1007 0.3921 0.8963
0.3908 0.3919 0.3965
0.1005 0.8922 0.6085
```

(5)
Density functional theory data (r2SCAN) for crystalline V3P2O8 at its relaxed geometry.

Computed properties:
DFT total energy ... -279.03 eV for the cell shown
Symmetry ... P1, No. 1

POSCAR file:
```
V3P2O8
1.0
0.0018 4.8076 0.0031
-0.2211 0.0067 10.3503
6.0115 0.0024 -0.0267
V P O
6 4 16
Direct
0.9881 0.2728 0.2467
0.0125 0.7268 0.7527
0.4884 0.2270 0.7547
0.4989 0.4980 0.5015
0.0015 0.0026 0.5026
0.5105 0.7734 0.2424
0.0751 0.5944 0.2492
0.4244 0.0950 0.2485
0.5766 0.9053 0.7489
0.9237 0.4049 0.7528
0.1896 0.6694 0.0533
0.3077 0.1703 0.0539
0.6927 0.8292 0.9429
0.8065 0.3300 0.9478
0.3117 0.9565 0.2559
0.1857 0.4554 0.2565
0.8129 0.5438 0.7444
0.6862 0.0444 0.7452
0.7595 0.6006 0.2710
0.7398 0.1002 0.2676